_File_
____________
# 1
First-principles (r2SCAN) data for a relaxed PrAl4 crystal, as listed in the Materials Project.

The structure in extended XYZ format:
```
10
Lattice="4.267 0.000 0.000 0.000 4.267 0.000 0.000 0.000 11.360" Properties=species:S:1:pos:R:3 pbc="T T T"
Pr 0.000 0.000 0.000
Pr 2.133 2.133 5.680
Al 0.000 0.000 4.407
Al 0.000 0.000 6.953
Al 0.000 2.133 2.840
Al 0.000 2.133 8.520
Al 2.133 0.000 2.840
Al 2.133 0.000 8.520
Al 2.133 2.133 1.273
Al 2.133 2.133 10.087
```

Properties
The value obtained for the formation energy is -0.340 eV per atom. The value obtained for the calculated volume is 20.68 Å³/atom.

# 2
First-principles (r2SCAN) data for a relaxed GdGa3 crystal, as listed in the Materials Project.

The structure in extended XYZ format:
```
8
Lattice="6.328 0.000 0.000 -3.164 5.480 0.000 0.000 0.000 4.496" Properties=species:S:1:pos:R:3 pbc="T T T"
Gd 0.000 3.653 1.124
Gd 3.164 1.827 3.372
Ga 0.000 1.575 3.372
Ga -1.799 4.692 3.372
Ga 1.364 0.788 1.124
Ga 1.799 4.692 3.372
Ga 4.963 0.788 1.124
Ga 3.164 3.904 1.124
```

Properties
The value obtained for the formation energy is -0.576 eV per atom. The value obtained for the calculated volume is 19.49 Å³/atom.

# 3
First-principles (r2SCAN) data for a relaxed YbS2 crystal, as listed in the Materials Project.

The structure in extended XYZ format:
```
12
Lattice="9.644 0.000 0.000 0.000 3.973 0.000 -4.657 0.000 6.473" Properties=species:S:1:pos:R:3 pbc="T T T"
Yb -1.164 0.494 1.618
Yb -3.492 3.479 4.855
Yb 1.329 1.493 4.855
Yb 3.658 2.480 1.618
S 1.208 1.493 0.194
S -1.120 2.480 3.431
S -1.043 0.494 6.279
S 1.285 3.479 3.043
S 3.702 0.494 3.431
S 6.030 3.479 0.194
S 6.107 1.493 3.043
S 3.779 2.480 6.279
```

Properties
The value obtained for the formation energy is -1.676 eV per atom. The value obtained for the calculated volume is 20.67 Å³/atom.

# 4
First-principles (r2SCAN) data for a relaxed LuZr3F15 crystal, as listed in the Materials Project.

The structure in extended XYZ format:
```
38
Lattice="5.145 -6.140 0.000 5.145 6.140 0.000 -2.195 0.000 7.709" Properties=species:S:1:pos:R:3 pbc="T T T"
Lu 3.499 3.958 5.782
Lu 4.597 -3.958 1.927
Zr 4.597 3.086 1.927
Zr 1.461 0.443 5.197
Zr 2.559 -0.443 1.342
Zr 5.537 0.443 6.367
Zr 6.635 -0.443 2.512
Zr 3.499 -3.086 5.782
F -0.241 1.624 6.033
F 0.485 1.288 3.608
F 0.920 0.768 1.154
F 2.087 2.393 5.256
F -0.177 -0.768 5.009
F 3.171 1.660 1.724
F 2.679 3.029 7.660
F -0.613 -1.288 7.463
F 0.856 -1.624 2.179
F 4.319 3.029 3.904
F 1.372 0.202 7.308
F 2.470 -0.202 3.453
F 4.912 2.393 6.308
F 3.499 0.408 5.782
F 2.073 -1.660 5.579
F 6.022 1.660 2.130
F 4.597 -0.408 1.927
F 3.184 -2.393 1.401
F 5.626 0.202 4.256
F 6.724 -0.202 0.401
F 3.776 -3.029 3.805
F 7.240 1.624 5.530
F 8.708 1.288 0.247
F 5.417 -3.029 0.049
F 4.925 -1.660 5.985
F 8.273 0.768 2.701
F 6.009 -2.393 2.453
F 7.176 -0.768 6.555
F 7.611 -1.288 4.101
F 8.337 -1.624 1.676
```

Properties
The value obtained for the formation energy is -4.130 eV per atom. The value obtained for the calculated volume is 12.82 Å³/atom.

* * * * *

An optimized crystal structure of TaCr3Cu2S8, computed with PBE.

## Properties
Its total magnetization is 18.0 Bohr magnetons per cell. Its excess energy over the best structure of this formula in the dataset is 272 kJ/mol of formula units. As for the formation energy: -0.80 eV/atom.

a b c (Å): 3.449 11.063 12.553
angles (deg): 90.00 90.00 90.00
Atoms (fractional coordinates):
Ta  0.000  0.213  0.000
Ta  0.500  0.787  0.500
Cr  0.000  0.156  0.530
Cr  0.000  0.650  0.204
Cr  0.000  0.706  0.745
Cr  0.500  0.294  0.245
Cr  0.500  0.350  0.704
Cr  0.500  0.844  0.030
Cu  0.000  0.543  0.917
Cu  0.000  0.993  0.743
Cu  0.500  0.007  0.243
Cu  0.500  0.457  0.417
S  0.000  0.152  0.191
S  0.000  0.315  0.833
S  0.000  0.365  0.571
S  0.000  0.441  0.287
S  0.000  0.644  0.563
S  0.000  0.824  0.905
S  0.000  0.864  0.170
S  0.000  0.939  0.465
S  0.500  0.061  0.965
S  0.500  0.136  0.670
S  0.500  0.176  0.405
S  0.500  0.356  0.063
____________
_Activity_
Your job: repeat every line earlier on that contains the word "atom".
_Response_
The value obtained for the formation energy is -0.340 eV per atom. The value obtained for the calculated volume is 20.68 Å³/atom.
The value obtained for the formation energy is -0.576 eV per atom. The value obtained for the calculated volume is 19.49 Å³/atom.
The value obtained for the formation energy is -1.676 eV per atom. The value obtained for the calculated volume is 20.67 Å³/atom.
The value obtained for the formation energy is -4.130 eV per atom. The value obtained for the calculated volume is 12.82 Å³/atom.
Its total magnetization is 18.0 Bohr magnetons per cell. Its excess energy over the best structure of this formula in the dataset is 272 kJ/mol of formula units. As for the formation energy: -0.80 eV/atom.